North Carolina Migrant Education Service Delivery Plan
2 Webinar Objectives Learn about Comprehensive Needs Assessment (CNA) findings and how they will inform your work. Be introduced to statewide service delivery strategies in the NCLB goal areas of: 1.School Readiness 2.Improving Reading and Math Proficiency 3.High School Graduation
Next to the piece, the page also holds calculated crystals:
┌──
Entry 1:
Below is crystalline FeOF at its relaxed geometry, with properties calculated at the PBE with a Hubbard U level.

a b c (Å): 5.6473 4.7491 5.6654
angles (deg): 90.00 114.32 90.00
Closest atoms and distances in Å follow each position.
Positions (direct):
1 Fe 0.2191 0.0247 0.2470  3 O 1.89-1.95, 1 F 2.09
2 Fe 0.2191 0.4753 0.7470  3 O 1.89-1.95, 1 F 2.09
3 Fe 0.7809 0.5247 0.2530  3 O 1.89-1.95, 1 F 2.09
4 Fe 0.7809 0.9753 0.7530  3 O 1.89-1.95, 1 F 2.09
5 O 0.0994 0.1947 0.9076  3 Fe 1.89-1.95
6 O 0.0994 0.3053 0.4076  3 Fe 1.89-1.95
7 O 0.9006 0.6947 0.5924  3 Fe 1.89-1.95
8 O 0.9006 0.8053 0.0924  3 Fe 1.89-1.95
9 F 0.4057 0.6928 0.1022  3 Fe 2.09-2.23
10 F 0.4057 0.8072 0.6022  3 Fe 2.09-2.23
11 F 0.5943 0.1928 0.3978  3 Fe 2.09-2.23
12 F 0.5943 0.3072 0.8978  3 Fe 2.09-2.23

Properties
- space group = P2_1/c, No. 14
- raw total energy (eV per atom) = -6.08
- crystal system = monoclinic
- corrected total energy (MP2020 scheme) (eV/atom) = -7.22
- calculated formation energy (eV per atom) = -2.11

=====

Entry 2:
Below is crystalline CaEuNbWO6 at its relaxed geometry, with properties calculated at the PBE with a Hubbard U level.

a b c (Å): 5.8012 5.8012 5.8012
angles (deg): 60.00 60.00 60.00
Closest atoms and distances in Å follow each position.
Positions (direct):
1 Ca 0.0000 0.0000 0.0000  12 O 2.90
2 Eu 0.5000 0.5000 0.5000  12 O 2.90
3 Nb 0.2500 0.2500 0.2500  6 O 2.00
4 W 0.7500 0.7500 0.7500  6 O 2.10
5 O 0.0059 0.0059 0.4941  1 Nb 2.00, 1 W 2.10
6 O 0.0059 0.4941 0.0059  1 Nb 2.00, 1 W 2.10
7 O 0.0059 0.4941 0.4941  1 Nb 2.00, 1 W 2.10
8 O 0.4941 0.0059 0.0059  1 Nb 2.00, 1 W 2.10
9 O 0.4941 0.0059 0.4941  1 Nb 2.00, 1 W 2.10
10 O 0.4941 0.4941 0.0059  1 Nb 2.00, 1 W 2.10

Properties
- space group = F-43m, No. 216
- raw total energy (eV per atom) = -8.43
- crystal system = cubic
- corrected total energy (MP2020 scheme) (eV/atom) = -9.29
- calculated formation energy (eV per atom) = -2.79

~~~~~

Here is a relaxed structure of LiTiPO4F from the Materials Project database. Energies are from PBE.

a b c (Å): 5.250 5.441 7.444
angles (deg): 106.70 108.22 98.79
Atoms (fractional coordinates):
P 0.322 0.640 0.761
P 0.678 0.360 0.239
O 0.867 0.339 0.112
O 0.745 0.216 0.389
O 0.133 0.661 0.888
O 0.368 0.246 0.089
O 0.255 0.784 0.611
O 0.306 0.341 0.656
O 0.694 0.659 0.344
O 0.632 0.754 0.911
F 0.870 0.075 0.737
F 0.130 0.925 0.263
Ti 0.000 0.000 0.500
Ti 0.000 0.000 0.000
Li 0.732 0.385 0.814
Li 0.268 0.615 0.186

Raw total energy in eV per atom: -7.233
Calculated volume in Å³ per atom: 11.654
Symmetry: No. 2
Energy of formation from the pure elements in meV/atom: -3019
Magnetization in μB per cell: 2.00

~~~~~

DFT (PBE-GGA) results for crystalline Sc at its relaxed geometry.

It has space group Im-3m (No. 229), with a = 3.677 Å, b = 3.677 Å, c = 3.677 Å, α = 90.00°, β = 90.00° and γ = 90.00°. The distinct sites, in fractional coordinates, are Sc at (0.000, 0.000, 0.000).
└──
Here the piece continues:
3 Webinar Objectives Understand specific ways in which you will be asked to document –implementation –positive effects of chosen service delivery strategies.
5 Warm-up Survey Questions #1. How many years have you been working for the NC Migrant Education program? A)0-4 B)5-9 C)10-14 D)15+
6 Warm-up Survey Questions What is your favorite leisure activity? A)Being a couch potato & watching TV B)Dancing C)Exercising D)Going to a movie or out to dinner E)Gardening or other hobby
7 Warm-up Survey Questions How much knowledge do you have of the Comprehensive Needs Assessment (CNA) process and its findings? A)None B)Limited C)Good D)Excellent
8 Components of the SDP Performance TargetsWhat should be…. Needs AssessmentWhere we are… Measurable Program Outcomes Service Delivery Strategies Evaluation
9 North Carolina Performance Targets
10 North Carolina Performance Targets High School Achievement Gap
11 Major Findings from the CNA Pre-K: Migrant children do not receive comparable pre-school education and home support to that of their counterparts. Photo: Lenoir Count MEP
12 Data that Validated this Concern From Education Week, North Carolina has 43% of preschool children involved in some type of preschool program. The CNA survey results reflect that 23% of migrant and 31 % of non-migrant children participate in a preschool program. The CNA surveys indicated that 58% of migrant parents and 46% of non-migrant parents read less than 3 times a week or never to their children.
13 More CNA Findings… Elementary: Significant gaps between ELL/Migrant and Non-ELL/Non- migrant.
14 Data that Validated this Concern EOG Percent Proficient –EOG Reading --Gap between Migrant and Non-Migrant in was -10% to -14%. In the gap was even greater, 22 – 23% fewer Migrant students met the standard. –The Gap for 3 rd Grade Math in was -5% and -13% in –In some cases, the NC % proficient of Migrant students was greater than the % proficient of LEP students. However, LEP Migrant students were less likely to meet the test standard than Migrant students who were not LEP in all areas. Parent Survey - In most cases, Migrant parents were less likely than Non-Migrant parents to –Set aside a place for homework –Check their childrens homework –Help their children with homework
15 Secondary School Students… Secondary: Significant gaps between Migrant and Non-migrant students in grades 6-8 Reading and Math, and all EOC subjects.
16 Data that Validated this Concern Survey Results and EOG/EOC Scores –58.9% of Migrant and 71% of the Non-Migrant students reported being prepared for the EOG Reading tests. 75% of Migrant and 76% of Non-Migrant reported being prepared for the EOG Math tests. –However, 51%- 60% of Migrant students actually passed the EOG Reading and 35% - 43% of the Migrant students actually passed the EOG Math. The percentage of Migrant students passing EOCs was much lower. –In some LEAs, the %Proficient of middle grades Migrant students was much lower than the % of respondents that reported being prepared for the tests.
17 Out-of-School Youth Out-of-School Youth (OSY) are underserved and indicate need for access to ESL, health, and transportation resources. Photo: Lenoir County MEP
18 Data that Validated this Concern Out-of-School Youth Survey –English as a Second Language classes identified as the most critical need
19 Seven Areas of Concern Educational Continuity Instructional Time School Engagement English Language Development Educational Support in the Home Health Access to Services
20 Focus of Areas of Concern AreaPre-KK-56-12OSY Instructional Time AccessResearch- based interventions Access English Language Development Research- based interventions Course placement; interventions Short-term ESL Educational Support in the Home Resources available School-home com- munication School/home communication Tech. access Hours of work; living conditions Access to Services Parent and community awareness Transportation Few classes Health Access to health care Dental and vision Dental and vision/child care Access to health support
21 The Service Delivery Plan Statute: a description of the State's priorities for the use of funds received under this part, and how such priorities relate to the State's assessment of needs for services in the State;
22 The Service Delivery Plan Section of the July 2008 Regulations: specific performance targets and measurable objectives. Draft Non-Regulatory Guidance: A comprehensive State plan for service delivery describes the services the SEA will provide on a statewide basis to address the special educational needs of migrant students.
23 Service Delivery Strategies How to read the charts (pp of SDP) –NCLB GoalsGeneral areas –NCMEP GoalGeneral goal –ObjectiveMeasurable outcome –Strategies Do-able across the state –Data Collection and ReportingMIS2000 data and other information available –Resources neededCollected and disseminated by DPI
24 Goal Areas for NCLB School Readiness Proficiency in reading and math High School graduation
25 Discussion of Pre-K Service Delivery Chart: An example
27 Survey Question – School Readiness In your experience, what is a major reason for lack of Pre-K participation of migrant children? A)No slots/programs available B)Cultural differences C)Limited English proficiency D)Lack of transportation
28 Identified Need Migrant children have low participation in pre-school programs, primarily due to mobility, transportation, and awareness of program options…..
29 Measurable Program Outcome Objective: Increase percentage of migrant preschool children (ages 4 and 5) who participate in preschool programs by 5% each year, in order to meet NC average (43%) by 2013.
30 Strategies Compile a list of local preschool programs that might enroll migrant students…. Develop local community network to create better connections with early childhood programs and perhaps develop formal agreements…. Inform migrant parents of opportunities available… Web resources: uedNov2008-Colorversion.pdf
32 Survey Question - Data Reporting Which of these statements best describes your feelings about data reporting? A)Data is my friend B)Less is more C)I want to be able to show that my services are having a positive impact D)I need more help!
33 Data Collection and Reporting MIS2000 Information Other –Definition of program –Records of formal agreements and collaboration –Records of training sessions and other information prepared for parents
34 Resources Needed Data training School Readiness Expert Group information dissemination (helpful websites for educators and parents of Pre-K children, research articles on best practices) Information from and utilization of Parent Information Resource Centers (PIRCs)
35 Evaluation of Service Delivery Objective from Plan Type of Data Collected Data Analysis Responsible Parties
36 Questions?????